Corona Diaries Final Entry: Small Achievements…

It has been some time since the national lock down across India was lifted. Even though things are still far from normal, we have to move ahead. There are mixed feeling everywhere. On one hand, we can now move around with some restrictions, we are not out of it yet. I have been at home since late March. While I spent an entire Summer behind closed doors, many embarked on a long journey back home and countless others stood on the front line to deal with the pandemic head-on. They are still fighting. More power to them.

As the world starts to open its doors, I am still standing at the window. I will be honest, it still feels strange. That idea of ‘normal’ does not exist any more. Meanwhile, my social media is flooded with post of achievements by my fellow humans. Someone painted a series of new artwork, someone managed to master baking, another learnt a new language. As I scroll through the feed, a familiar feeling creeps in quietly. ‘What did I achieve?’ Silly as it may sound, even in the midst of chaos, comparison just doesn’t seem to quit. How can it? We have been raised to look at what is growing in our neighbor’s garden before focusing on what we need to nurture in our own.

So, what DID I achieve? Well, for starters, I managed to make the most of my Netflix subscription over the course of my prolong home stay. I have mastered a grand total of 5 new recipes that I can cook from scratch. I can cut onions in record time without shedding too many tears. I also picked up a few new professional skills and learnt some more about Digital Marketing. And most importantly, I managed to keep my mental health a priority most of the time.

Yup, that is what I did. And I am okay with that. I do not need to come out of this whole lock down with trophies. I just need to come out safe and sane. So, no. I do not want to look at your perfect collection of projects. I will just sit down for tea and prepare for what is about to come next.

With this, I wrap up my Corona Diaries. Small achievements count. Indeed.

Stay Safe Everyone! ❤

/*
! Ho2MnAl2Ni5 (PBE, optimized geometry); values from VASP
&SYSTEM
  ibrav = 0, nat = 20, ntyp = 4
/
ATOMIC_SPECIES
Ho 164.93 Ho.upf
Mn 54.94 Mn.upf
Al 26.98 Al.upf
Ni 58.69 Ni.upf
ATOMIC_POSITIONS crystal
Ho 0.1751 0.3249 0.0000
Ho 0.3249 0.8249 0.0000
Ho 0.6751 0.1751 0.0000
Ho 0.8249 0.6751 0.0000
Mn 0.0000 0.0000 0.0000
Mn 0.5000 0.5000 0.0000
Al 0.1245 0.6245 0.0000
Al 0.3755 0.1245 0.0000
Al 0.6245 0.8755 0.0000
Al 0.8755 0.3755 0.0000
Ni 0.0000 0.5000 0.5000
Ni 0.0546 0.8021 0.5000
Ni 0.1979 0.0546 0.5000
Ni 0.3021 0.5546 0.5000
Ni 0.4454 0.3021 0.5000
Ni 0.5000 0.0000 0.5000
Ni 0.5546 0.6979 0.5000
Ni 0.6979 0.4454 0.5000
Ni 0.8021 0.9454 0.5000
Ni 0.9454 0.1979 0.5000
CELL_PARAMETERS angstrom
9.7161 0.0000 0.0000
0.0000 9.7161 0.0000
0.0000 0.0000 3.2347
! Total DFT energy (no corrections) = -5.7750 eV per atom


! NbPb3N (PBE, optimized geometry); values from VASP
&SYSTEM
  ibrav = 0, nat = 5, ntyp = 3
/
ATOMIC_SPECIES
Nb 92.91 Nb.upf
Pb 207.20 Pb.upf
N 14.01 N.upf
ATOMIC_POSITIONS crystal
Nb 0.0000 0.0000 0.0000
Pb 0.0000 0.5000 0.5000
Pb 0.5000 0.0000 0.5000
Pb 0.5000 0.5000 0.0000
N 0.5000 0.5000 0.5000
CELL_PARAMETERS angstrom
4.8493 0.0000 0.0000
0.0000 4.8493 0.0000
0.0000 0.0000 4.8493
! ΔE_f (raw) = 1.017 eV/atom
! ΔE to the lowest computed polymorph = 0 meV per atom


! V2CoNiPt2 (PBE, optimized geometry); values from VASP
&SYSTEM
  ibrav = 0, nat = 12, ntyp = 4
/
ATOMIC_SPECIES
V 50.94 V.upf
Co 58.93 Co.upf
Ni 58.69 Ni.upf
Pt 195.08 Pt.upf
ATOMIC_POSITIONS crystal
V 0.1247 0.2032 0.3280
V 0.3753 0.7032 0.0785
V 0.6247 0.2968 0.9215
V 0.8753 0.7968 0.6720
Co 0.2500 0.2500 0.0000
Co 0.7500 0.7500 0.0000
Ni 0.2500 0.7500 0.5000
Ni 0.7500 0.2500 0.5000
Pt 0.1833 0.6910 0.8743
Pt 0.3167 0.1910 0.5077
Pt 0.6833 0.8090 0.4923
Pt 0.8167 0.3090 0.1257
CELL_PARAMETERS angstrom
-2.4973 6.7251 2.4470
2.4973 -6.7251 2.4470
2.4973 6.7251 -2.4470
! Total DFT energy (no corrections) = -7.3841 eV per atom


! Ac2LaC (PBE, optimized geometry); values from VASP
&SYSTEM
  ibrav = 0, nat = 4, ntyp = 3
/
ATOMIC_SPECIES
Ac 227.00 Ac.upf
La 138.91 La.upf
C 12.01 C.upf
ATOMIC_POSITIONS crystal
Ac 0.0713 0.0713 0.0713
Ac 0.9287 0.9287 0.9287
La 0.5000 0.5000 0.5000
C 0.0000 0.0000 0.0000
CELL_PARAMETERS angstrom
2.0386 1.1770 10.9299
-2.0386 1.1770 10.9299
0.0000 -2.3539 10.9299
! Total DFT energy (no corrections) = -4.5555 eV per atom


! SrNdMg2Tl4 (PBE, optimized geometry); values from VASP
&SYSTEM
  ibrav = 0, nat = 8, ntyp = 4
/
ATOMIC_SPECIES
Sr 87.62 Sr.upf
Nd 144.24 Nd.upf
Mg 24.30 Mg.upf
Tl 204.38 Tl.upf
ATOMIC_POSITIONS crystal
Sr 0.0000 0.0000 0.0000
Nd 0.5000 0.5000 0.5000
Mg 0.2485 0.2485 0.2485
Mg 0.7515 0.7515 0.7515
Tl 0.1249 0.1249 0.1249
Tl 0.3776 0.3776 0.3776
Tl 0.6224 0.6224 0.6224
Tl 0.8751 0.8751 0.8751
CELL_PARAMETERS angstrom
2.6865 1.5510 8.9687
-2.6865 1.5510 8.9687
0.0000 -3.1021 8.9687
! Total DFT energy (no corrections) = -2.6559 eV per atom


! Ac3Ga2Pd6Au (PBE, optimized geometry); values from VASP
&SYSTEM
*/

(Photo by Gaelle Marcel on Unsplash)

Corona Diaries 20: Of sleep and shoulder pain…

We rarely appreciate things when they are doing well. Troubles are strange agents of realization.

So, things were going as smooth as they can during the quarantine and I was doing okay myself. And then one day, I woke up to a horrible pain in my left shoulder and a very stiff neck. It was probably a night or two of me sleeping in an odd position. ‘It should be fine by tomorrow,’ I thought. And was I wrong or what. The pain got worse over the next few days and I was unable to move my entire arm. What made it worse was that I could not even move my neck.

I generally do not give much thought to how I sleep. I just am glad that I manage to get some sleep. Turns out, sleeping like Superman taking off is not an ideal position. Who knew?! I did after a week long ordeal. At first, I thought it was a muscle cramp. Later found out it was much more serious than that. It was a pinched nerve around my neck and shoulder area. The pain and the restriction to movement could go on for weeks or longer depending on how severe it is and how I take care of myself. So, the first thing I did was read up on this and follow the instructions.

Over the next seven days, I avoided working on my laptop as much as I could, limited my cellphone use, slept on my back with two pillows to provide neck and shoulder support, massaged my arm frequently and walked around my room like a robot.

The entry is interrupted by crystal structures >
/*
Record 1
VASP calculation (PBE) on a geometry-optimized CsV3Pt structure.

Uncorrected energy   -4.30 eV per atom
Energy relative to the lowest polymorph listed for this composition   1481 meV per atom
ΔE_f   2.5520 eV per atom

Cell: 4.7124 4.7124 4.7124 Å, 90.00 90.00 90.00°
Last column: nearest neighbours and their distance in Å.
Fractional coordinates of all 5 atoms:
Cs 0.0000 0.0000 0.0000  6 V 2.36
Pt 0.5000 0.5000 0.5000  12 V 3.33
V 0.0000 0.5000 0.0000  2 Cs 2.36
V 0.0000 0.0000 0.5000  2 Cs 2.36
V 0.5000 0.0000 0.0000  2 Cs 2.36

---

Record 2
VASP calculation (PBE) on a geometry-optimized Tl2CrPb structure.

Uncorrected energy   -4.18 eV per atom
Energy relative to the lowest polymorph listed for this composition   0 meV per atom
ΔE_f   0.3348 eV per atom

Cell: 3.4353 3.4353 9.0039 Å, 90.00 90.00 90.00°
Last column: nearest neighbours and their distance in Å.
Fractional coordinates of all 4 atoms:
Cr 0.0000 0.0000 0.4960  4 Tl 3.03, 4 Pb 3.04
Pb 0.5000 0.5000 0.6998  4 Cr 3.04
Tl 0.0000 0.0000 0.0091  8 Tl 3.44-3.54, 4 Pb 3.70
Tl 0.5000 0.5000 0.2951  4 Cr 3.03

---

Record 3
VASP calculation (PBE) on a geometry-optimized GaTeI2 structure.

E_form (uncorrected)   257 meV/atom
Uncorrected energy   -2.06 eV per atom
Energy relative to the lowest polymorph listed for this composition   518 meV per atom

Cell: 5.6689 5.6689 5.6689 Å, 60.00 60.00 60.00°
Last column: nearest neighbours and their distance in Å.
Fractional coordinates of all 4 atoms:
I 0.2500 0.2500 0.2500  4 Te 3.47, 4 Ga 3.47
I 0.7500 0.7500 0.7500  4 Ga 3.47, 4 Te 3.47
Te 0.5000 0.5000 0.5000  8 I 3.47
Ga 0.0000 0.0000 0.0000  8 I 3.47

---

Record 4
VASP calculation (PBE) on a geometry-optimized Mn2CrPt structure.

Uncorrected energy   -8.56 eV per atom
ΔE_f   -0.0575 eV per atom

Cell: 4.7594 4.7594 4.4863 Å, 77.11 77.11 34.56°
Last column: nearest neighbours and their distance in Å.
Fractional coordinates of all 4 atoms:
Cr 0.7456 0.7456 0.7696  7 Mn 2.57-2.77, 3 Pt 2.73-2.83, 2 Cr 2.83
Mn 0.0084 0.0084 0.9824  3 Cr 2.57-2.77, 4 Pt 2.65-2.66, 5 Mn 2.75-2.83
Mn 0.2489 0.2489 0.2585  4 Cr 2.62-2.69, 3 Pt 2.68-2.69, 5 Mn 2.75-2.83
Pt 0.4972 0.4972 0.4894  7 Mn 2.65-2.69, 3 Cr 2.73-2.83, 2 Pt 2.83

---

Record 5
VASP calculation (PBE) on a geometry-optimized SrPrMgCd structure.

Uncorrected energy   -2.42 eV per atom
Energy relative to the lowest polymorph listed for this composition   23 meV per atom
ΔE_f   -0.1735 eV per atom

Cell: 5.6456 5.6456 5.6456 Å, 60.00 60.00 60.00°
Last column: nearest neighbours and their distance in Å.
Fractional coordinates of all 4 atoms:
Pr 0.5000 0.5000 0.5000  4 Cd 3.46, 4 Mg 3.46
Sr 0.0000 0.0000 0.0000  4 Mg 3.46, 4 Cd 3.46
Mg 0.2500 0.2500 0.2500  4 Pr 3.46, 4 Sr 3.46
Cd 0.7500 0.7500 0.7500  4 Pr 3.46, 4 Sr 3.46

---

Record 6
VASP calculation (PBE) on a geometry-optimized Ca2PRh structure.

Uncorrected energy   -4.38 eV per atom
ΔE_f   -0.1935 eV per atom

Cell: 3.9784 3.9784 5.8890 Å, 90.00 90.00 90.00°
*/

When you choose to do nothing, it is a luxury. When you are forced to do nothing, it is a punishment. Power of choice is potent.

My arm eventually got better. It felt great. Never have I ever been so glad to be able to touch my toes with both my arms stretched. Little things in life.

Take Care Everyone. Stay Safe!

(Photo by hessam nabavi on Unsplash)

Corona Diaries 19: The good in the world…

Scrolling through my Instagram feed is a daily joy. Dodging the Dalgona coffee pictures, I manage to find really amazing content. I happened to stumble upon something interesting last night while going through the account of my favorite person on Instagram, Trinetra (ind0ctrination). Among her usual awesomeness, she shared a poster about someone called Kabeer (tedhi_lakeer) who has been running an effort to feed the impoverished people in his hometown during this pandemic.


I got curious and went on to read more about Tedhi Lakeer and the people behind it. Based in a small town in rural Madhya Pradesh, Kabeer runs a small school and undertakes regular food drives for the community who resides in the slums. With the recent Coronavirus pandemic, many there have lost their livelihood and depend on the work of people like Kabeer and his friend Dharamendra Singh. Kabeer has been actively engaged in food distribution to hundreds of families and hopes to help out more. Feeding others is as noble as it gets in my eyes.


His own story is nothing less than awe-inspiring. You can read about him here. And if you feel moved, you can also help him out. Details can be found on Tedhi Lakeer’s Instagram Page. No amount is small enough, not when the intentions are good.


Hope everyone is blessed with food and good health. Take Care.




(Photo Credits: Teedhi Lakeer)

Corona Diaries 18: The dance of electricity…

So, the lock down in India is likely to be extended. Again. I wouldn’t say anyone was surprised though. Everyone in my neighborhood has adjusted quite well, their kids though are another stories. Who can blame them?


However, there is a downside to everything. With a majority of them being corporate employees, there is a lot of work-from-home going on. And since we have now entered the fabulous month of May, you would be mad not to put the Air-conditioning on when it is 37 degrees Celsius outside. What is the downside you ask? Power outage. Yes. Fabulous periods of no electricity.


Today was one such day. Everyone woke up to do their Zoom calls with no pants on and most of their screens went Kaput! And under normal circumstances, lights are back on within 20 minutes. Since we are in quarantine, it took over 5 hours. Doing what we do best, the whole neighborhood was out on their windows in their Bermuda shorts and unshaven glory. Nice to see people not care about their looks for once. And as soon as the electricity service people arrived to do their magic, everyone was visibly happy and thankful.


This was yet another lesson for me about how we take our essential workers and service people for granted. Our lives would not function without them. I just wish that their pay would reflect their importance soon enough.


Stay Safe Everyone!




(Photo by James Pond on Unsplash)

Corona Diaries 17: The plunge of introspection…

Isolation can be quite helpful sometimes. Lately, I have been doing a lot of reading and a little bit of thinking. Among the many things I know about, I guess the subject I am best at is myself. And yet, the more I lean in to listen, the more I learn about me.


I have been thinking about my life, my dreams and the ways I sought to achieve them. I have been thinking about the friends I made and lives that touched mine through the years and phases. I am cherishing the bonds I have and reminiscing the ones I let go without wanting them back. I realize that forgiveness does not require re-connection. You can remember the good times and not want them anymore. It is a strange epiphany.


A  pause can lead to restlessness and it can also lead to calm. You take what you get and try to make the best of it. I am trying to do just that…


Stay Safe Everyone.




(Photo by Vince Fleming on Unsplash)

Corona Diaries 16: High-maintenance house plant…

Summers in Mumbai are my least favorite. It is hot, humid and just far too hot. Lately the temperature has soared to around 40 degrees Celsius.  With humidity levels at a whopping 77% average, my living turns into a sauna daily.


I just wish I could get myself a big tub of water and stay submerged like a hippo in it. With only my nose and the top of my head out of the water. It would be perfect.


As it is not currently possible (I never ruled-out great ideas), I try my best to beat the heat and stay hydrated. I shower often and make sure I have multiple bottles of water. I am trying to balance my diet as well by avoiding greasy food, while adding fruit servings throughout the day. At the end of it, I have come to realize that I am basically a plant, a very high maintenance house plant that needs constant watering and loads of shade. This thought has helped me stay on course.


We tend to take care of things that we have. More often we tend to forget that our bodies  also need to be taken care of. That is my simple realization for today.


Stay Home. Stay Safe.




(Photo by Emily Rudolph on Unsplash)

Corona Diary 15: The long hiatus…


Writing is my escape. And sometimes I need an escape from my escape. If any of that makes sense. Isolation is funny. It can be productive to an extent and exhausting if you are not careful. Your thoughts tend to wonder from times to time. This wondering is what I am being careful about.


Life before the lock down had me going out almost every day, meeting people and exchanging ideas. Different perspectives are stimulating and keep you from drowning in your personal stream of thoughts. Now, with the new normal setting in, conversations are few and select. Most of my dialogues are monologues. Good or bad, it is what it is. On one side, I have thought about topics I had not pondered over in about a decade. I have read about them, gained insights and reasoned on their varied aspects with myself. On the other hand, I have realized that you can only fill a cup till a limit before it starts spilling over its brim. I have a vague idea about my mental brim. And thoughts seemed to spill over.


So, I did what I thought would help. I took a step back. It was not easy to put a pause on things, but it was needed. That is the beauty of life, we can restart as much as we like.


Hope everyone is safe and healthy. Take Care!




(Photo by Niclas Moser on Unsplash)

Corona Diary 14: Here comes anxiety…

So, today it was announced that the lock down in Maharashtra, India would be extended till the 30th of April, 2020. We all knew it was coming, not necessarily were we prepared. These are tough times.


I have been trying to be positive through this ordeal. So far, it has been okay. Now, I think I am beginning to freak out a little. I am human. And, I have anxiety. I have not been able to write for the NaProWriMo since a few days. Inspiration seems to have evaporated in this heat. God! Mumbai Summers!

_Between two parts of the entry: materials data_
********
First-principles (GGA+U) data for a geometry-optimized SrMnCr2O8 structure, as listed in Alexandria via LeMat-Bulk.

abc: 5.5512 5.5512 7.0195
angles: 90.00 90.00 120.00
Closest atoms and distances in Å follow each position.
Positions (direct):
Sr 0.0000 0.0000 0.0000  6 O 2.65
Mn 0.0000 0.0000 0.5000  6 O 2.14
Cr 0.6667 0.3333 0.2259  4 O 1.64-1.68
Cr 0.3333 0.6667 0.7741  4 O 1.64-1.68
O 0.3333 0.6667 0.0078  1 Cr 1.64
O 0.3349 0.1685 0.2993  1 Cr 1.68
O 0.8315 0.1664 0.2993  1 Cr 1.68
O 0.6667 0.3333 0.9922  1 Cr 1.64
O 0.1685 0.8336 0.7007  1 Cr 1.68
O 0.6651 0.8315 0.7007  1 Cr 1.68
O 0.1664 0.3349 0.7007  1 Cr 1.68
O 0.8336 0.6651 0.2993  1 Cr 1.68

## Properties
* E_tot: -7.020 eV/atom

~~~~~

! La2ErIn | Alexandria | GGA-PBE | relaxed; values from VASP
&SYSTEM
  ibrav = 0, nat = 8, ntyp = 3
/
ATOMIC_SPECIES
La 138.91 La.upf
Er 167.26 Er.upf
In 114.82 In.upf
CELL_PARAMETERS angstrom
5.756 0.000 0.000
0.000 6.880 0.000
0.000 0.000 6.186
ATOMIC_POSITIONS angstrom
La 1.439 0.038 0.847
********
_Back to the entry_


So, last night, I decided I would start fixing and following a schedule. I wrote down, 3 simple tasks that I would accomplish today.

  1. Wake-up by 8:00 am and finish breakfast, bath, whatever by 10 am.
  2. Set the work space and start by 10:30 am.
  3. Finish work and write something for yourself later.


I accomplished none of these. I am not losing hope though. Nope. This is exactly the time when I need to be more hopeful. So, tonight, I noted that I did not follow through the tasks and will try again tomorrow. I made the same list and drew a smiley. I will try…


Stay safe everyone.

Corona Diary 13: Cooking food…

My day was good. I kept myself busy in the kitchen all day long. I have been reading up on a lot of South Indian recipes lately. And, I pride myself over the fact that I can make a mean Bisi Bele Bath (a spicy rice dish with lentils) and plan to try out other delicacies with the limited ingredients I have right now.


I am trying to stay healthy and eat better. Right now it is so easy to slip a few snacks or hog on instant noodles. As much as I like them and am thankful that they exist, they cannot be my daily meal. Cooking dishes from scratch takes time and patience and a lot of work. I am used to cooking as a leisurely activity, but not a routine chore. Personally, I do not think cooking multiple small servings is an efficient thing to do, especially if you are only cooking for yourself. So, I refer cooking dishes in a quantity that would serve me 2 to 3 meals. It saves me time and gas. My meal preps are also done in advance so I know just how much rice I would be cooking and how many vegetables I would be using and so on. That way I know the exact quantity of onions and potatoes I have left or need to buy to last me another week.


Cooking every meal you eat is not hard if you plan it well. One more lesson for the lock down is, do not be picky with being served a fresh meal every single time. This is an emergency and we need to save resources including gas and electricity.


In case, you are looking some easy tasty dishes here is a link.


Hope everyone is healthy and safe.


Corona Diary 12: Losing a gig…

I take on freelancing projects from time to time. Since the lock down, it has been a bit tough. I don’t want to be pessimistic, but it will only get worse from here. And it sucks.

A few days back, I had secured a freelancing writing project which seemed rather interesting. It was to start soon and it felt nice to get some good work right now. Creativity is all good, but a writer needs to eat. Anyways, so today morning when I expected a timeline, I got one. Way up there in September 2020. The project had been postponed owing to the Coronavirus situation. Ya, that happened.

Although I am onboard, there will be no work for months, so no money either. Suddenly, being a now Full Time Freelance Writer just got tougher. It is okay, I will be okay. Still do not regret pursuing my dreams.

It is not the first time something like this happened. But it is the first time when I really needed a gig. What makes it worse is that I am not the only one. There are so many who are going to face the brunt of this. So many others who already have.

I just wish things get better soon. I really hope that at the end of this, steps are taken to address the wealth gap and the ill distribution of opportunities.

Take care everyone.